## Excerpt
+++
1.
A relaxed La16Mo21O56 crystal, computed with PBE with a Hubbard U.

a b c (Å): 13.7735 13.7312 13.7344
angles (deg): 90.00 100.15 90.00
Space group P2_1/c (No. 14)
Asymmetric unit:
La (0.1118, 0.1086, 0.0499) x4
La (0.1263, 0.6718, 0.6375) x4
La (0.1390, 0.1937, 0.7734) x4
La (0.1520, 0.5933, 0.3676) x4
La (0.3217, 0.6237, 0.1454) x4
La (0.3287, 0.1871, 0.5742) x4
La (0.3580, 0.6676, 0.8582) x4
La (0.3655, 0.1166, 0.2811) x4
Mo (0.0409, 0.5030, 0.7827) x4
Mo (0.0522, 0.1433, 0.4183) x4
Mo (0.0715, 0.6489, 0.9347) x4
Mo (0.0846, 0.0100, 0.5745) x4
Mo (0.2004, 0.0060, 0.4253) x4
Mo (0.3511, 0.5645, 0.5694) x4
Mo (0.3524, 0.0903, 0.9138) x4
Mo (0.4771, 0.0757, 0.7822) x4
Mo (0.4860, 0.7142, 0.5744) x4
Mo (0.4866, 0.5695, 0.4260) x4
Mo (0.5000, 0.0000, 0.5000) x2
O (0.0119, 0.5042, 0.6207) x4
O (0.0288, 0.1403, 0.2621) x4
O (0.0424, 0.6544, 0.7814) x4
O (0.0454, 0.2110, 0.9081) x4
O (0.0745, 0.7030, 0.4530) x4
O (0.0858, 0.1629, 0.5776) x4
O (0.1071, 0.6432, 0.0934) x4
O (0.1094, 0.0183, 0.7278) x4
O (0.1859, 0.5090, 0.7765) x4
O (0.1985, 0.5516, 0.5487) x4
O (0.2032, 0.0949, 0.9107) x4
O (0.2026, 0.1547, 0.4184) x4
O (0.2266, 0.6381, 0.9480) x4
O (0.2385, 0.0236, 0.5758) x4
O (0.2437, 0.2087, 0.1764) x4
O (0.2532, 0.7258, 0.2546) x4
O (0.3299, 0.0892, 0.7651) x4
O (0.3326, 0.5626, 0.4096) x4
O (0.3391, 0.7162, 0.5659) x4
O (0.3537, 0.0144, 0.4175) x4
O (0.3623, 0.0932, 0.0694) x4
O (0.3637, 0.2380, 0.9135) x4
O (0.3747, 0.5590, 0.7232) x4
O (0.4615, 0.0819, 0.6233) x4
O (0.4649, 0.6334, 0.0680) x4
O (0.4701, 0.5733, 0.2721) x4
O (0.4844, 0.7211, 0.4274) x4
O (0.4885, 0.2241, 0.7757) x4

Summary:
ΔH_f (0 K)	-2.58	eV/atom

***

2.
A relaxed Li4CrP2O8F2 crystal, computed with PBE with a Hubbard U.

a b c (Å): 6.4708 10.0172 10.0644
angles (deg): 60.24 89.90 89.85
Space group P1 (No. 1)
Asymmetric unit:
Li (0.0000, 0.0000, 0.0000) x1
Li (0.0009, 0.4954, 0.4717) x1
Li (0.0028, 0.9587, 0.5096) x1
Li (0.3167, 0.4878, 0.9887) x1
Li (0.3350, 0.1475, 0.6690) x1
Li (0.5260, 0.2967, 0.3260) x1
Li (0.7085, 0.4885, 0.9898) x1
Li (0.7483, 0.6507, 0.6682) x1
Li (0.7573, 0.1589, 0.1498) x1
Li (0.7588, 0.6532, 0.1584) x1
Li (0.7696, 0.1461, 0.6704) x1
Li (0.8368, 0.8186, 0.3290) x1
Cr (0.2589, 0.1505, 0.1583) x1
Cr (0.2615, 0.6538, 0.1617) x1
Cr (0.2639, 0.6509, 0.6613) x1
P (0.5158, 0.5225, 0.4676) x1
P (0.5166, 0.9638, 0.4808) x1
P (0.5201, 0.9724, 0.0262) x1
P (0.9956, 0.3268, 0.2913) x1
P (0.9956, 0.3514, 0.8364) x1
P (0.9976, 0.7765, 0.8615) x1
O (0.0018, 0.2061, 0.4608) x1
O (0.0019, 0.2997, 0.7176) x1
O (0.0019, 0.9464, 0.8151) x1
O (0.0303, 0.2120, 0.0034) x1
O (0.0302, 0.4937, 0.2639) x1
O (0.0353, 0.7529, 0.7203) x1
O (0.1855, 0.3075, 0.2023) x1
O (0.1858, 0.4591, 0.8196) x1
O (0.1872, 0.6844, 0.9702) x1
O (0.3192, 0.5958, 0.3655) x1
O (0.3229, 0.0112, 0.0933) x1
O (0.3231, 0.8584, 0.5179) x1
O (0.4810, 0.0874, 0.3054) x1
O (0.4814, 0.5664, 0.5962) x1
O (0.4843, 0.7960, 0.0845) x1
O (0.5185, 0.3492, 0.5270) x1
O (0.5203, 0.0529, 0.5668) x1
O (0.5222, 0.0672, 0.8534) x1
O (0.7141, 0.6037, 0.3820) x1
O (0.7152, 0.8752, 0.4914) x1
O (0.7164, 0.9825, 0.1061) x1
O (0.7957, 0.3238, 0.2104) x1
O (0.8029, 0.4389, 0.8363) x1
O (0.8060, 0.6886, 0.9491) x1
F (0.0384, 0.0211, 0.2911) x1
F (0.0394, 0.6496, 0.5330) x1
F (0.0394, 0.7856, 0.1575) x1
F (0.4695, 0.2941, 0.0327) x1
F (0.4718, 0.5125, 0.1613) x1
F (0.4739, 0.6426, 0.8007) x1

Summary:
ΔH_f (0 K)	-2.66	eV/atom

***

3.
A relaxed CuMoF6 crystal, computed with PBE with a Hubbard U.

a b c (Å): 5.2243 5.2243 14.0857
angles (deg): 90.00 90.00 120.00
Space group R-3 (No. 148, hexagonal axes)
Asymmetric unit:
Cu (0.0000, 0.0000, 0.0000) x3
Mo (0.0000, 0.0000, 0.5000) x3
F (0.0060, 0.3729, 0.2474) x18

Summary:
ΔH_f (0 K)	-2.35	eV/atom
excess energy over the best structure of this formula in the dataset	36.5	meV per atom

***

4.
A relaxed LiMnF4 crystal, computed with PBE with a Hubbard U.

a b c (Å): 4.6958 5.8173 10.1743
angles (deg): 90.00 90.00 90.00
Space group Pbcn (No. 60)
+++

## Request
The reader should print the rows further up from the line with "(0.0858, 0.1629," to the end without additions.

## Reply
O (0.0858, 0.1629, 0.5776) x4
O (0.1071, 0.6432, 0.0934) x4
O (0.1094, 0.0183, 0.7278) x4
O (0.1859, 0.5090, 0.7765) x4
O (0.1985, 0.5516, 0.5487) x4
O (0.2032, 0.0949, 0.9107) x4
O (0.2026, 0.1547, 0.4184) x4
O (0.2266, 0.6381, 0.9480) x4
O (0.2385, 0.0236, 0.5758) x4
O (0.2437, 0.2087, 0.1764) x4
O (0.2532, 0.7258, 0.2546) x4
O (0.3299, 0.0892, 0.7651) x4
O (0.3326, 0.5626, 0.4096) x4
O (0.3391, 0.7162, 0.5659) x4
O (0.3537, 0.0144, 0.4175) x4
O (0.3623, 0.0932, 0.0694) x4
O (0.3637, 0.2380, 0.9135) x4
O (0.3747, 0.5590, 0.7232) x4
O (0.4615, 0.0819, 0.6233) x4
O (0.4649, 0.6334, 0.0680) x4
O (0.4701, 0.5733, 0.2721) x4
O (0.4844, 0.7211, 0.4274) x4
O (0.4885, 0.2241, 0.7757) x4

Summary:
ΔH_f (0 K)	-2.58	eV/atom

***

2.
A relaxed Li4CrP2O8F2 crystal, computed with PBE with a Hubbard U.

a b c (Å): 6.4708 10.0172 10.0644
angles (deg): 60.24 89.90 89.85
Space group P1 (No. 1)
Asymmetric unit:
Li (0.0000, 0.0000, 0.0000) x1
Li (0.0009, 0.4954, 0.4717) x1
Li (0.0028, 0.9587, 0.5096) x1
Li (0.3167, 0.4878, 0.9887) x1
Li (0.3350, 0.1475, 0.6690) x1
Li (0.5260, 0.2967, 0.3260) x1
Li (0.7085, 0.4885, 0.9898) x1
Li (0.7483, 0.6507, 0.6682) x1
Li (0.7573, 0.1589, 0.1498) x1
Li (0.7588, 0.6532, 0.1584) x1
Li (0.7696, 0.1461, 0.6704) x1
Li (0.8368, 0.8186, 0.3290) x1
Cr (0.2589, 0.1505, 0.1583) x1
Cr (0.2615, 0.6538, 0.1617) x1
Cr (0.2639, 0.6509, 0.6613) x1
P (0.5158, 0.5225, 0.4676) x1
P (0.5166, 0.9638, 0.4808) x1
P (0.5201, 0.9724, 0.0262) x1
P (0.9956, 0.3268, 0.2913) x1
P (0.9956, 0.3514, 0.8364) x1
P (0.9976, 0.7765, 0.8615) x1
O (0.0018, 0.2061, 0.4608) x1
O (0.0019, 0.2997, 0.7176) x1
O (0.0019, 0.9464, 0.8151) x1
O (0.0303, 0.2120, 0.0034) x1
O (0.0302, 0.4937, 0.2639) x1
O (0.0353, 0.7529, 0.7203) x1
O (0.1855, 0.3075, 0.2023) x1
O (0.1858, 0.4591, 0.8196) x1
O (0.1872, 0.6844, 0.9702) x1
O (0.3192, 0.5958, 0.3655) x1
O (0.3229, 0.0112, 0.0933) x1
O (0.3231, 0.8584, 0.5179) x1
O (0.4810, 0.0874, 0.3054) x1
O (0.4814, 0.5664, 0.5962) x1
O (0.4843, 0.7960, 0.0845) x1
O (0.5185, 0.3492, 0.5270) x1
O (0.5203, 0.0529, 0.5668) x1
O (0.5222, 0.0672, 0.8534) x1
O (0.7141, 0.6037, 0.3820) x1
O (0.7152, 0.8752, 0.4914) x1
O (0.7164, 0.9825, 0.1061) x1
O (0.7957, 0.3238, 0.2104) x1
O (0.8029, 0.4389, 0.8363) x1
O (0.8060, 0.6886, 0.9491) x1
F (0.0384, 0.0211, 0.2911) x1
F (0.0394, 0.6496, 0.5330) x1
F (0.0394, 0.7856, 0.1575) x1
F (0.4695, 0.2941, 0.0327) x1
F (0.4718, 0.5125, 0.1613) x1
F (0.4739, 0.6426, 0.8007) x1

Summary:
ΔH_f (0 K)	-2.66	eV/atom

***

3.
A relaxed CuMoF6 crystal, computed with PBE with a Hubbard U.

a b c (Å): 5.2243 5.2243 14.0857
angles (deg): 90.00 90.00 120.00
Space group R-3 (No. 148, hexagonal axes)
Asymmetric unit:
Cu (0.0000, 0.0000, 0.0000) x3
Mo (0.0000, 0.0000, 0.5000) x3
F (0.0060, 0.3729, 0.2474) x18

Summary:
ΔH_f (0 K)	-2.35	eV/atom
excess energy over the best structure of this formula in the dataset	36.5	meV per atom

***

4.
A relaxed LiMnF4 crystal, computed with PBE with a Hubbard U.

a b c (Å): 4.6958 5.8173 10.1743
angles (deg): 90.00 90.00 90.00
Space group Pbcn (No. 60)